Thursday, July 1, 2021


Not only had I put off going to town by a day, I cut it really close on time yesterday.  Nothing like a challenge in a humdrum life!  I made it to the lab (the mini-vampires) with not much time to spare, and then everything came to a screeching halt.  Michael may be the only one who enjoys these trees, bushes, and posts that require his attention.  We got out of the truck in the empty parking lot and he immediately headed toward the nearest tree.  I tripped on the concrete abutment and went full length into the mulch.  Quick systems check.  No damage done other than to my ego.  Yeah, well.  One of the more debilitating conditions I've encountered of late is loss of strength, especially in the legs.  I couldn't stand up no matter how I tried.  Time was ticking way, and there I sat.  A car drove in and a nice lady and her dad got out.  "Are you okay?"  "Well, not really.  Could you help me stand up?"  She gave a small effort, but I think she was afraid she'd break that which had not been broken.  Nice Lady went into the building, leaving her father, who was blind and nearly deaf, to keep an eye on me (that's a joke, son), and came back to tell me the lab was closed and that she had called 911, stressing that it was not an emergency.  Throw in another 'yeah, well' here.

In no time at all the parking lot was filled with a hook-and-ladder fire truck, an EMT van, an ambulance, all with flashing lights, and what seemed like ten firemen!  All this and all I needed was a boost.  How many ways can you say embarrassed?

There is a reason firemen pose for calendars.  There must be some criteria for handsome and cute when they hire on.  In my now two encounters, these guys met every requirement.  And they are kind.  Don gave me a once-over and decided I wasn't real damage done, and agreed I didn't need to go to the hospital, although he offered several times.  Finally he pulled me up by the back of my bibbies, saw that I could get into the truck on my own, and let me go.  Yes, I was shaky, more with embarrassment than anything else.

When I say I don't like to go to town, I really, really mean it.  And I still have to go back to get the lab work done.  Aarrgh!

Stay safe.  Stay on your feet.  Be well.


Emmy said...

== Materials data that have nothing to do with the page ==
-- begin --
1.
MgCuBi2 | PBE-GGA | optimized geometry

Unit cell a=5.2380 b=5.2380 c=5.2380 alpha=60.00 beta=60.00 gamma=60.00
Closest atoms and distances in Å follow each position.
Positions (direct):
Mg (0.0000, 0.0000, 0.0000)  4 Bi 3.21, 4 Cu 3.21
Cu (0.7500, 0.7500, 0.7500)  4 Bi 3.21, 4 Mg 3.21
Bi (0.2500, 0.2500, 0.2500)  4 Bi 3.21, 4 Mg 3.21
Bi (0.5000, 0.5000, 0.5000)  4 Bi 3.21, 4 Cu 3.21

---

2.
Mg2CuBi | PBE-GGA | optimized geometry

Unit cell a=4.9680 b=4.9680 c=4.9680 alpha=60.00 beta=60.00 gamma=60.00
Closest atoms and distances in Å follow each position.
Positions (direct):
Mg (0.0000, 0.0000, 0.0000)  4 Cu 3.04, 4 Mg 3.04
Mg (0.2500, 0.2500, 0.2500)  4 Bi 3.04, 4 Mg 3.04
Cu (0.7500, 0.7500, 0.7500)  4 Bi 3.04, 4 Mg 3.04
Bi (0.5000, 0.5000, 0.5000)  4 Cu 3.04, 4 Mg 3.04

---

3.
MgCuNiBi | PBE-GGA | optimized geometry

Unit cell a=4.5944 b=4.5944 c=4.5944 alpha=60.00 beta=60.00 gamma=60.00
Closest atoms and distances in Å follow each position.
Positions (direct):
Mg (0.0000, 0.0000, 0.0000)  4 Ni 2.81, 4 Cu 2.81
Cu (0.2500, 0.2500, 0.2500)  4 Bi 2.81, 4 Mg 2.81
Ni (0.7500, 0.7500, 0.7500)  4 Bi 2.81, 4 Mg 2.81
Bi (0.5000, 0.5000, 0.5000)  4 Ni 2.81, 4 Cu 2.81

Properties
As for the energy above the most stable polymorph in this dataset: 0 meV/atom. For the magnetization, the calculation gives 0.003 μB per formula unit.

---

4.
MgCuNiBi | PBE-GGA | optimized geometry
-- stop --

So sorry to hear about that fall.
I too fell over concrete thing in parking lot, right in front of health food store. They rushed to give me all sorts of meds to lessen the injuries.
I only wanted to go daughter and dog who she was taking out of car when I fell, were dully upset…
That’s probably last time she will offer me a drive.
She now points out every barrier over an inch that we come to.
Ice is best remedy.

Kathryn Williams said...

Oh so very, very sorry.